The Mutiny At Hampton University

Students at one of America’s top HBCUs are protesting a long list of problems faced by students at the school, including sexual assault, safety, food and the lack of maintenance of campus facilities.

(Materials data that have nothing to do with the article)
'''
1.
Density functional theory data (PBE) for a relaxed structure of ZnS.

Unit cell a=9.7081 b=9.7081 c=9.7081 alpha=22.89 beta=22.89 gamma=22.89
Sites, in units of the cell vectors:
S1 0.9167 0.9167 0.9167
S2 0.4722 0.4722 0.4722
Zn1 0.7778 0.7778 0.7778
S3 0.6945 0.6945 0.6945
Zn2 0.5556 0.5556 0.5556
Zn3 0.0000 0.0000 0.0000

Properties
For the total energy, the calculation gives -3.50 eV per atom. The formation energy from the elements is -102.1 kJ/mol of atoms. Its piezoelectric modulus e_max is 0.143 C/m².


2.
Density functional theory data (PBE) for a relaxed structure of ZnS.

Unit cell a=25.2534 b=25.2534 c=25.2534 alpha=8.75 beta=8.75 gamma=8.75
Sites, in units of the cell vectors:
Zn1 0.6250 0.6250 0.6250
Zn2 0.7083 0.7083 0.7083
S1 0.0937 0.0937 0.0937
S2 0.3854 0.3854 0.3854
S3 0.6771 0.6771 0.6771
Zn3 0.2500 0.2500 0.2500
Zn4 0.4166 0.4166 0.4166
S4 0.8438 0.8438 0.8438
Zn5 0.0000 0.0000 0.0000
Zn6 0.1250 0.1250 0.1250
S5 0.2188 0.2188 0.2188
S6 0.9687 0.9687 0.9687
S7 0.4688 0.4688 0.4688
S8 0.5938 0.5938 0.5938
Zn7 0.5000 0.5000 0.5000
Zn8 0.8750 0.8750 0.8750

Properties
For the total energy, the calculation gives -3.50 eV per atom. The formation energy from the elements is -101.5 kJ/mol of atoms. The magnetization comes out at 0.000 Bohr magnetons per cell.


3.
Density functional theory data (PBE) for a relaxed structure of ZnS.

Unit cell a=3.8538 b=3.8538 c=75.5590 alpha=90.00 beta=90.00 gamma=120.00
Sites, in units of the cell vectors:
S1 0.6667 0.3333 0.8646
S2 0.3333 0.6667 0.6563
Zn1 0.0000 0.0000 0.6667
S3 0.0000 0.0000 0.8229
S4 0.3333 0.6667 0.1562
S5 0.6667 0.3333 0.3229
S6 0.0000 0.0000 0.6979
Zn2 0.3333 0.6667 0.1250
Zn3 0.0000 0.0000 0.7917
S7 0.3333 0.6667 0.0313
Zn4 0.3333 0.6667 0.7500
S8 0.6667 0.3333 0.1979
S9 0.6667 0.3333 0.0729
Zn5 0.3333 0.6667 0.3750
Zn6 0.6667 0.3333 0.8333
S10 0.0000 0.0000 0.4896
S11 0.3333 0.6667 0.2812
S12 0.6667 0.3333 0.5729
Zn7 0.6667 0.3333 0.5417
S13 0.3333 0.6667 0.4062
S14 0.6667 0.3333 0.7396
S15 0.0000 0.0000 0.2396
Zn8 0.0000 0.0000 0.3333
Zn9 0.3333 0.6667 0.0000
Zn10 0.0000 0.0000 0.5833
Zn11 0.3333 0.6667 0.5000
S16 0.6667 0.3333 0.9896
Zn12 0.0000 0.0000 0.2083
S17 0.3333 0.6667 0.5312
S18 0.3333 0.6667 0.9062
S19 0.0000 0.0000 0.1146
S20 0.0000 0.0000 0.9479
Zn13 0.0000 0.0000 0.0833
S21 0.0000 0.0000 0.6146
Zn14 0.6667 0.3333 0.0417
Zn15 0.6667 0.3333 0.9583
Zn16 0.6667 0.3333 0.4167
Zn17 0.6667 0.3333 0.2917
Zn18 0.0000 0.0000 0.9167
Zn19 0.3333 0.6667 0.6250
S22 0.0000 0.0000 0.3646
Zn20 0.3333 0.6667 0.8750
Zn21 0.6667 0.3333 0.1667
Zn22 0.0000 0.0000 0.4583
Zn23 0.3333 0.6667 0.2500
S23 0.6667 0.3333 0.4479
Zn24 0.6667 0.3333 0.7083
S24 0.3333 0.6667 0.7812

Properties
For the total energy, the calculation gives -3.51 eV per atom. The formation energy from the elements is -102.5 kJ/mol of atoms.


1.
# Mg2Mn3WS8

A geometry-optimized Mg2Mn3WS8 structure (PBE, the Materials Project).

Unit cell a=7.3193 b=7.3193 c=7.3254 alpha=119.98 beta=119.98 gamma=60.03
'''

The long-simmering situation at Hampton University is reaching a slow boil, pitting the student body against the university’s leadership and administration. Faced with a maelstrom of criticism over the school’s perceived apathy and lack of concern for the constituents of the heralded Virginia school, the Pirates of Hampton now face a quiet mutiny that has not only manifested itself on campus but has also spilled over onto social media and the public eye.

Hampton trails only Spelman College and Howard University on U.S. News & World Report’s 2018 list of the best HBCUs in America. Founded in 1868, the liberal arts institution of more than 4,600 students is always included in the list of historically black schools known as the “black Ivy League.”

On Feb. 20, Hampton students, frustrated by a number of unaddressed issues, held a town hall meeting to confront the school administration’s seeming indifference to the concerns repeatedly raised by various groups at the school. According to several Hampton students who spoke with The Root, the airing of grievances quickly turned contentious when students felt that Hampton’s leadership was ignoring and belittling their concerns.

One of the more important issues mentioned at the protests and by the students who reached out to The Root was what the students described as a prevailing culture of sexual assault on campus and the administration’s perceived unwillingness to address the issue.

Each freshman and transfer to Hampton is required to take a course called University 101, focused on the tradition of the college. According to the university, the U101 course covers test anxiety, personal finance, the dress code and even the alma mater. The student catalog describes the University 101 course as:

A one-semester required orientation course designed to improve the quality of the freshman experience for entering students by helping them understand the purpose and value of higher education at Hampton University, as well as the larger context in which that education takes place and the multicultural nature of the problems and concerns which it addresses; to develop positive attitudes toward the teaching learning process; and to acquire coping skills essential for successful college life.

Despite the school’s past problems with sexual assault, including a 2014 case of a faculty member allegedly assaulting a student and a report that the school is being investigated by the Department of Education’s Civil Rights Division for violating Title IX campus sexual-violence policies, Hampton still lags behind other schools in informing students about sexual assault on campus.

For comparison, since 2014, Howard University has mandated that all freshmen take Title IX training. According to student organizers, Hampton, in its University 101 course, has chosen to solve its campus problem of sexual misconduct in a unique way:

By not addressing it at all.

# Data records, kept here for reference
{"formula": "YMg14CO16", "functional": "PBE-GGA", "state": "optimized geometry", "lattice_angstrom": [[4.289, 0.000, 0.000], [0.000, 8.606, 0.000], [0.000, 0.000, 8.842]], "species": ["Y", "Mg", "Mg", "Mg", "Mg", "Mg", "Mg", "Mg", "Mg", "Mg", "Mg", "Mg", "Mg", "Mg", "Mg", "C", "O", "O", "O", "O", "O", "O", "O", "O", "O", "O", "O", "O", "O", "O", "O", "O"], "fractional_positions": [[0.000, 0.000, 0.000], [0.000, 0.000, 0.500], [0.000, 0.265, 0.255], [0.000, 0.265, 0.745], [0.000, 0.500, 0.500], [0.000, 0.735, 0.255], [0.000, 0.735, 0.745], [0.500, 0.000, 0.264], [0.500, 0.000, 0.736], [0.500, 0.255, 0.500], [0.500, 0.269, 0.000], [0.500, 0.500, 0.250], [0.500, 0.500, 0.750], [0.500, 0.731, 0.000], [0.500, 0.745, 0.500], [0.000, 0.500, 0.000], [0.000, 0.000, 0.258], [0.000, 0.000, 0.742], [0.000, 0.245, 0.500], [0.000, 0.257, 0.000], [0.000, 0.500, 0.280], [0.000, 0.500, 0.720], [0.000, 0.743, 0.000], [0.000, 0.755, 0.500], [0.500, 0.000, 0.000], [0.500, 0.000, 0.500], [0.500, 0.249, 0.247], [0.500, 0.249, 0.753], [0.500, 0.500, 0.000], [0.500, 0.500, 0.500], [0.500, 0.751, 0.247], [0.500, 0.751, 0.753]], "space_group": "Pmmm", "e_form_kj_per_mol_atoms": -262, "polymorph_energy_mev_per_atom": 0, "magnetic_moment_mub_per_cell": 1.00}

=====

{"formula": "Ca2ZnHg", "functional": "PBE-GGA", "state": "optimized geometry", "lattice_angstrom": [[7.492, 0.000, 0.000], [0.000, 7.492, 0.000], [0.000, 0.000, 7.492]], "species": ["Ca", "Ca", "Ca", "Ca", "Ca", "Ca", "Ca", "Ca", "Zn", "Zn", "Zn", "Zn", "Hg", "Hg", "Hg", "Hg"], "fractional_positions": [[0.250, 0.250, 0.250], [0.250, 0.250, 0.750], [0.250, 0.750, 0.250], [0.250, 0.750, 0.750], [0.750, 0.250, 0.250], [0.750, 0.250, 0.750], [0.750, 0.750, 0.250], [0.750, 0.750, 0.750], [0.000, 0.000, 0.000], [0.000, 0.500, 0.500], [0.500, 0.000, 0.500], [0.500, 0.500, 0.000], [0.000, 0.000, 0.500], [0.000, 0.500, 0.000], [0.500, 0.000, 0.000], [0.500, 0.500, 0.500]], "space_group": "Fm-3m", "e_form_kj_per_mol_atoms": -38}

=====

{"formula": "Hf3Mg", "functional": "PBE-GGA", "state": "optimized geometry", "lattice_angstrom": [[4.417, 0.000, 0.000], [0.000, 4.417, 0.000], [0.000, 0.000, 8.963]], "species": ["Hf", "Hf", "Hf", "Hf", "Hf", "Hf", "Mg", "Mg"], "fractional_positions": [[0.000, 0.000, 0.000], [0.000, 0.500, 0.250], [0.000, 0.500, 0.750], [0.500, 0.000, 0.250], [0.500, 0.000, 0.750], [0.500, 0.500, 0.500], [0.000, 0.000, 0.500], [0.500, 0.500, 0.000]], "space_group": "I4/mmm", "e_form_kj_per_mol_atoms": 8, "polymorph_energy_mev_per_atom": 0, "magnetic_moment_mub_per_cell": 0.00}

=====

Read full at the Root by Michael Harriot